### Contents
-- begin --
Density functional theory data (wB97M-V/def2-TZVPD) for C4H4F2 in the gas phase at a distorted geometry.

```
10
Properties=species:S:1:pos:R:3:forces:R:3:nbo_charge:R:1
C 0.2035 0.0832 0.3204 -1.717 -0.277 0.461 -0.64
C -1.0172 0.0177 -0.6502 0.842 0.390 1.429 -0.23
C -2.2627 0.6076 -0.1193 -1.258 -1.742 0.180 0.30
F -2.8197 1.7855 0.1594 0.379 -0.602 -0.088 -0.29
C -2.3379 -0.7041 -0.1113 0.065 1.929 -0.487 0.31
F -3.0406 -1.8155 0.1973 1.059 1.165 -0.592 -0.29
H -0.2624 -0.1014 1.3533 1.164 0.032 -1.284 0.21
H 0.5519 1.1307 0.3067 0.372 -0.595 -0.033 0.21
H 0.9608 -0.6696 0.0293 -0.187 0.628 0.453 0.22
H -0.6860 0.2902 -1.6698 -0.719 -0.927 -0.040 0.19
```
Forces are in eV/Å.

The value obtained for the electronic energy is -354.40460 a.u. For the energy relative to the best compared isomer or geometry (same formula, charge and spin), the calculation gives 60.23 kcal per mole. For the lowest unoccupied orbital energy, the calculation gives 0.76 eV. The HOMO energy comes out at -9.46 eV. As for the orbital gap: 10.22 eV.
-- stop --

### Work order
Could you filter the lines above: keep the lines with the word "unoccupied"?

### Reply
The value obtained for the electronic energy is -354.40460 a.u. For the energy relative to the best compared isomer or geometry (same formula, charge and spin), the calculation gives 60.23 kcal per mole. For the lowest unoccupied orbital energy, the calculation gives 0.76 eV. The HOMO energy comes out at -9.46 eV. As for the orbital gap: 10.22 eV.